Listing
+++
Simulated PXRD pattern
Compound: LaZrTa3O11
Radiation: copper Kα
Structure: a cell relaxed with PBE
Lines closer than 0.1° are merged.

Main lines, in order of rising 2θ (5 to 70 degrees two-theta):
2theta	intensity	index
16.1	76	1 1 0
21.5	33	0 2 2
28.4	75	0 0 4
29.0	71	2 0 -1
29.0	35	1 3 1
31.5	100	1 3 -2
31.6	50	1 3 2
49.7	35	3 3 0
52.3	24	1 3 6
58.3	38	0 6 4

```
data_LaZrTa3O11
_cell_length_a 6.3658
_cell_length_b 10.9858
_cell_length_c 12.5848
_cell_angle_alpha 90.00
_cell_angle_beta 90.20
_cell_angle_gamma 90.00
_symmetry_space_group_name_H-M 'C 1 2 1'
_symmetry_Int_Tables_number 5
_symmetry_space_group_name_Hall 'C 2y'
loop_
_atom_site_label
_atom_site_type_symbol
_atom_site_fract_x
_atom_site_fract_y
_atom_site_fract_z
La1 La 0.0000 0.0000 0.0000
La2 La 0.0000 0.3356 0.5000
Zr1 Zr 0.1802 0.8489 0.2492
Ta1 Ta 0.0000 0.3343 0.0000
Ta2 Ta 0.0000 0.9988 0.5000
Ta3 Ta 0.1428 0.1699 0.2513
Ta4 Ta 0.1798 0.4913 0.2494
O1 O 0.0045 0.0043 0.7912
O2 O 0.0046 0.3348 0.2912
O3 O 0.0919 0.1976 0.0946
O4 O 0.0938 0.1396 0.4056
O5 O 0.1229 0.5471 0.7496
O6 O 0.1336 0.7900 0.7509
O7 O 0.1544 0.4523 0.0956
O8 O 0.1618 0.8849 0.4143
O9 O 0.2430 0.8579 0.0850
O10 O 0.2467 0.4820 0.4044
O11 O 0.2471 0.6632 0.2503
```


1.
Diffraction record for SnOsN2. The X-ray diffraction stick pattern is computed, not measured: it uses the GGA-PBE geometry in Alexandria and Cu Kα, 1.54184 Å.
No peak broadening, texture or thermal motion is included.

Main lines, most intense first (2θ = 10–80°):
Position (°2θ), Rel. int., hkl
34.5, 100.0, 0 1 2
38.0, 63.5, 1 0 4
26.9, 57.0, 0 0 6
50.0, 39.5, 0 1 8
66.5, 28.8, 1 1 6
57.7, 25.0, 1 0 10

Atomic structure:
Cell lengths 3.1081, 3.1081, 19.8763 Å; angles 90.00, 90.00, 120.00 degrees
Space group R-3m (No. 166, hexagonal axes)
Unique sites:
Sn (0.0000, 0.0000, 0.0000)
Os (0.0000, 0.0000, 0.5000)
N (0.0000, 0.0000, 0.1141)

---

2.
Diffraction record for H12PdC4N2O10. The X-ray diffraction stick pattern is computed, not measured: it uses the GGA-PBE geometry in Alexandria and Cu Kα, 1.54184 Å.
No peak broadening, texture or thermal motion is included.

Main lines, most intense first (2θ = 10–80°):
Position (°2θ), Rel. int., hkl
24.6, 100.0, 1 1 1
15.9, 73.4, 0 1 1
12.7, 49.1, 0 2 0
18.4, 32.0, 1 2 0
13.3, 30.3, 1 0 0
30.9, 19.1, 2 3 -1

Atomic structure:
Cell lengths 7.440, 13.984, 6.752 Å; angles 90.00, 116.13, 90.00 degrees
Space group P2_1/c (No. 14)
Unique sites:
H (0.025, 0.111, 0.381)
H (0.061, 0.205, 0.554)
H (0.092, 0.613, 0.954)
H (0.162, 0.693, 0.166)
H (0.357, 0.674, 0.791)
H (0.463, 0.731, 0.417)
Pd (0.500, 0.000, 0.000)
C (0.250, 0.012, 0.214)
C (0.263, 0.115, 0.135)
N (0.042, 0.654, 0.045)
O (0.145, 0.505, 0.811)
O (0.175, 0.181, 0.178)
O (0.337, 0.732, 0.863)
O (0.355, 0.553, 0.672)
O (0.370, 0.124, 0.027)


Theoretical XRD peak list
Compound: ZnNi2Au
Radiation: Cu Ka
Structure: a DFT-relaxed cell (GGA-PBE, Alexandria)
Kinematic intensities with the Lorentz-polarization factor, no thermal factor.

abc: 3.900 3.900 7.035
angles: 90.00 90.00 90.00
Space group I4/mmm (No. 139)
Symmetry-distinct sites (fractional):
Zn: 0.000 0.000 0.000 (multiplicity 2)
Ni: 0.000 0.500 0.250 (multiplicity 4)
Au: 0.000 0.000 0.500 (multiplicity 2)

Top 10 peaks for 2θ = 10–90°, by angle:
Position (°2θ)  I/Imax  hkl
25.32  10.8  0 0 2
26.13  33.4  1 0 1
32.47  11.8  1 1 0
41.61  100.0  1 1 2
46.58  35.9  2 0 0
51.99  12.9  0 0 4
54.18  9.8  2 1 1
67.99  11.2  2 2 0
72.35  18.7  2 0 4
82.97  25.9  3 1 2


The following is a simulated PXRD pattern of NaLa2Co2O6. It was derived from a crystal structure in Alexandria, relaxed with PBE+U, using Cu Kα X-rays.
Peak positions follow from Bragg's law for the DFT cell and can differ from measured ones.

Atomic structure:
Lattice parameters (Å, degrees): 6.7946 6.7946 6.7946 51.31 51.31 51.31
Atoms (fractional coordinates):
Na 0.0000 0.0000 0.0000
La 0.1940 0.1940 0.1940
La 0.8060 0.8060 0.8060
Co 0.4213 0.4213 0.4213
Co 0.5787 0.5787 0.5787
O 0.2161 0.7430 0.7430
+++

Request
Write out every line further up that contains the word "multiplicity".

Written answer
Zn: 0.000 0.000 0.000 (multiplicity 2)
Ni: 0.000 0.500 0.250 (multiplicity 4)
Au: 0.000 0.000 0.500 (multiplicity 2)